**Request:**
Your job: write out only the lines further below with the word "mol" in them.

**Given:**
# 1
DFT (r²SCAN) results for CsTa2P5O18 after structural relaxation.

ΔE_f	-252	kJ/mol of atoms
DFT total energy	-13.18	eV per atom
symmetry	P-1 (2)

POSCAR file:
```
CsTa2P5O18
1.0
5.152 0.020 0.007
0.973 10.893 0.001
0.746 1.720 14.306
Cs Ta P O
2 4 10 36
Direct
0.705 0.900 0.620 Cs
0.295 0.100 0.380 Cs
0.701 0.711 0.990 Ta
0.750 0.443 0.647 Ta
0.250 0.557 0.353 Ta
0.299 0.289 0.010 Ta
0.221 0.629 0.578 P
0.809 0.148 0.140 P
0.210 0.554 0.112 P
0.779 0.371 0.422 P
0.703 0.769 0.333 P
0.297 0.231 0.667 P
0.599 0.914 0.154 P
0.790 0.446 0.888 P
0.191 0.852 0.860 P
0.401 0.086 0.846 P
0.181 0.425 0.085 O
0.681 0.862 0.398 O
0.822 0.152 0.240 O
0.954 0.810 0.923 O
0.819 0.575 0.915 O
0.433 0.555 0.641 O
0.957 0.587 0.623 O
0.237 0.762 0.564 O
0.971 0.640 0.082 O
0.648 0.033 0.808 O
0.569 0.225 0.095 O
0.763 0.238 0.436 O
0.352 0.967 0.192 O
0.545 0.399 0.939 O
0.228 0.172 0.773 O
0.254 0.568 0.485 O
0.046 0.190 0.077 O
0.929 0.668 0.347 O
0.543 0.298 0.676 O
0.043 0.413 0.377 O
0.209 0.987 0.890 O
0.071 0.332 0.653 O
0.772 0.828 0.227 O
0.791 0.013 0.110 O
0.455 0.601 0.061 O
0.746 0.432 0.515 O
0.763 0.453 0.784 O
0.589 0.836 0.073 O
0.237 0.547 0.216 O
0.029 0.360 0.918 O
0.319 0.138 0.602 O
0.178 0.848 0.760 O
0.411 0.164 0.927 O
0.431 0.775 0.905 O
0.457 0.702 0.324 O
0.567 0.445 0.359 O
```



# 2
DFT (r²SCAN) results for CsTh2P3O12 after structural relaxation.

ΔE_f	-305	kJ/mol of atoms
DFT total energy	-18.20	eV per atom
symmetry	C2/c (15)

POSCAR file:
```
CsTh2P3O12
1.0
1.880 -5.995 7.309
7.748 -4.035 4.071
1.635 5.184 6.101
Cs Th P O
2 4 6 24
Direct
0.411 0.589 0.750 Cs
0.589 0.411 0.250 Cs
0.939 0.752 0.532 Th
0.248 0.061 0.968 Th
0.061 0.248 0.468 Th
0.752 0.939 0.032 Th
0.785 0.601 0.821 P
0.399 0.215 0.679 P
0.215 0.399 0.179 P
0.601 0.785 0.321 P
0.910 0.090 0.750 P
0.090 0.910 0.250 P
0.958 0.899 0.742 O
0.101 0.042 0.758 O
0.042 0.101 0.258 O
0.899 0.958 0.242 O
0.820 0.235 0.589 O
0.765 0.180 0.911 O
0.180 0.765 0.411 O
0.235 0.820 0.089 O
0.831 0.724 0.831 O
0.276 0.169 0.669 O
0.169 0.276 0.169 O
0.724 0.831 0.331 O
0.554 0.741 0.855 O
0.259 0.446 0.645 O
0.446 0.259 0.145 O
0.741 0.554 0.355 O
0.856 0.552 0.633 O
0.448 0.144 0.867 O
0.144 0.448 0.367 O
0.552 0.856 0.133 O
0.912 0.400 0.932 O
0.600 0.088 0.568 O
0.088 0.600 0.068 O
0.400 0.912 0.432 O
```



# 3
DFT (r²SCAN) results for CsV2P5O16 after structural relaxation.

ΔE_f	-241	kJ/mol of atoms
DFT total energy	-10.58	eV per atom
symmetry	Pc (7)

POSCAR file:
```
CsV2P5O16
1.0
-6.787 -4.202 5.031
-3.475 -2.036 -6.389
3.182 -9.165 -3.362
Cs V P O
2 4 10 32
Direct
0.804 0.000 0.754 Cs
0.196 0.000 0.254 Cs
0.369 0.924 0.862 V
0.631 0.924 0.362 V
0.143 0.377 0.468 V
0.857 0.377 0.968 V
0.873 0.278 0.303 P
0.127 0.278 0.803 P
0.861 0.614 0.372 P
0.139 0.614 0.872 P
0.706 0.570 0.628 P
0.294 0.570 0.128 P
0.460 0.515 0.492 P
0.540 0.515 0.992 P
0.419 0.125 0.525 P
0.581 0.125 0.025 P
0.988 0.228 0.413 O
0.012 0.228 0.913 O
0.746 0.152 0.348 O
0.254 0.152 0.848 O
0.932 0.299 0.159 O
0.068 0.299 0.659 O
0.819 0.492 0.284 O
0.181 0.492 0.784 O
0.800 0.809 0.304 O
0.200 0.809 0.804 O
0.018 0.611 0.396 O
0.982 0.611 0.896 O
0.787 0.498 0.521 O
0.213 0.498 0.021 O
0.770 0.479 0.769 O
0.230 0.479 0.269 O
0.700 0.783 0.566 O
0.300 0.783 0.066 O
0.552 0.482 0.632 O
0.448 0.482 0.132 O
0.306 0.516 0.525 O
0.694 0.516 0.025 O
0.520 0.685 0.378 O
0.480 0.685 0.878 O
0.495 0.333 0.458 O
0.505 0.333 0.958 O
0.260 0.155 0.505 O
0.740 0.155 0.005 O
0.461 0.046 0.677 O
0.539 0.046 0.177 O
0.470 0.016 0.439 O
0.530 0.016 0.939 O
```



# 4
DFT (r²SCAN) results for CsPaO3 after structural relaxation.

ΔE_f	-321	kJ/mol of atoms
DFT total energy	-27.31	eV per atom
symmetry	Pm-3m (221)

POSCAR file:
```
CsPaO3
1.0
-2.247 3.758 -0.671
-2.254 -1.934 -3.287
-3.081 -1.326 2.893
Cs Pa O
1 1 3
Direct
0.000 0.000 0.000 Cs
0.500 0.500 0.500 Pa
0.500 0.500 0.000 O
0.500 0.000 0.500 O
0.000 0.500 0.500 O
```



# 5
DFT (r²SCAN) results for Cs2PbO3 after structural relaxation.

**Here it is:**
ΔE_f	-252	kJ/mol of atoms
ΔE_f	-305	kJ/mol of atoms
ΔE_f	-241	kJ/mol of atoms
ΔE_f	-321	kJ/mol of atoms